# Data
- - -
Calculated X-ray diffraction stick pattern
Compound: BaSrCd2F8
Radiation: copper Kα
Structure: a crystal structure in Alexandria, relaxed with GGA-PBE
Intensities are scaled so that the largest is 100.

Top 6 peaks for 2θ = 10–90°, low angle first:
d [Å], Position (°2θ), I (rel.)
3.396, 26.2, 100.0
2.922, 30.6, 15.1
2.086, 43.4, 39.7
2.066, 43.8, 20.1
1.790, 51.0, 15.5
1.765, 51.8, 29.6

Atomic structure:
```
BaSrCd2F8
1.0
-2.922 2.922 5.958
2.922 -2.922 5.958
2.922 2.922 -5.958
Ba Sr Cd F
1 1 2 8
Cartesian
0.000 0.000 0.000
2.922 0.000 2.979
0.000 0.000 5.958
0.000 2.922 2.979
1.523 1.255 -1.818
1.439 -1.132 4.707
1.790 1.483 1.251
1.667 -1.399 7.776
1.483 4.054 -1.251
1.399 1.667 4.140
1.132 1.439 7.209
1.255 4.321 1.818
```

Calculated X-ray diffraction stick pattern
Compound: Pr8TmSc3
Radiation: copper Kα
Structure: a crystal structure in Alexandria, relaxed with GGA-PBE
Intensities are scaled so that the largest is 100.

Top 6 peaks for 2θ = 10–90°, low angle first:
d [Å], Position (°2θ), I (rel.)
5.789, 15.3, 56.7
5.407, 16.4, 32.2
2.950, 30.3, 64.3
2.897, 30.9, 81.5
2.795, 32.0, 100.0
2.590, 34.6, 90.6

Atomic structure:
```
Pr8TmSc3
1.0
-3.427 5.407 5.796
3.427 -5.407 5.796
3.427 5.407 -5.796
Pr Tm Sc
8 1 3
Cartesian
3.427 3.640 -2.914
1.897 2.305 0.000
4.956 2.305 0.000
0.000 1.767 2.881
3.427 3.640 2.914
-1.530 3.102 5.796
1.530 3.102 5.796
0.000 1.767 8.710
0.000 0.000 5.796
0.000 0.000 0.000
3.427 0.000 2.479
0.000 5.407 3.316
```

Calculated X-ray diffraction stick pattern
Compound: La4TbTe7
Radiation: copper Kα
Structure: a crystal structure in Alexandria, relaxed with GGA-PBE
Intensities are scaled so that the largest is 100.

Top 6 peaks for 2θ = 10–90°, low angle first:
d [Å], Position (°2θ), I (rel.)
3.364, 26.5, 62.0
3.296, 27.1, 80.3
3.139, 28.4, 100.0
3.037, 29.4, 67.7
2.857, 31.3, 57.9
2.215, 40.7, 65.0

Atomic structure:
```
La4TbTe7
1.0
7.447 -2.215 0.000
7.447 2.215 0.000
-3.467 0.000 13.070
La Tb Te
4 1 7
Cartesian
0.000 0.000 0.000
0.150 0.000 9.978
7.414 0.000 4.943
11.227 0.000 7.433
10.976 0.000 1.923
1.532 0.000 2.899
1.531 0.000 6.811
5.403 0.000 0.966
6.006 0.000 8.122
6.158 0.000 12.114
9.914 0.000 10.299
12.529 0.000 4.552
```

Calculated X-ray diffraction stick pattern
Compound: HoTe2S6
Radiation: copper Kα
Structure: a crystal structure in Alexandria, relaxed with GGA-PBE
Intensities are scaled so that the largest is 100.

Top 6 peaks for 2θ = 10–90°, low angle first:
d [Å], Position (°2θ), I (rel.)
5.436, 16.3, 100.0
4.022, 22.1, 96.8
3.999, 22.2, 77.6
3.334, 26.7, 39.1
3.223, 27.7, 38.6
3.079, 29.0, 34.9

Atomic structure:
```
HoTe2S6
1.0
7.289 0.000 0.000
-0.225 7.915 0.000
-1.247 -1.030 8.732
Ho Te S
2 4 12
Cartesian
0.982 2.208 0.874
4.834 4.678 7.857
0.439 0.574 5.290
1.727 4.005 6.377
4.089 2.881 2.355
5.377 6.312 3.442
-0.039 7.484 0.952
-0.341 2.790 7.275
0.466 6.347 3.931
1.225 2.162 3.715
2.415 4.435 1.842
2.292 5.624 7.994
3.524 1.262 0.738
3.401 2.451 6.890
4.591 4.723 5.017
5.350 0.539 4.801
6.158 4.096 1.457
5.855 -0.598 7.779
```

Calculated X-ray diffraction stick pattern
Compound: Cd5In2Ga
Radiation: copper Kα
Structure: a crystal structure in Alexandria, relaxed with GGA-PBE
Intensities are scaled so that the largest is 100.

Top 6 peaks for 2θ = 10–90°, low angle first:
d [Å], Position (°2θ), I (rel.)
2.716, 33.0, 88.7
2.669, 33.6, 81.7
2.616, 34.3, 77.8
2.475, 36.3, 67.3
2.297, 39.2, 53.1
2.248, 40.1, 100.0

Atomic structure:
```
Cd5In2Ga
1.0
5.549 0.000 0.000
-0.769 5.725 0.000
-0.412 -1.957 5.879
Cd In Ga
5 2 1
Cartesian
0.000 0.000 0.000
-0.954 4.708 2.906
0.963 2.057 2.087
1.889 5.096 1.440
3.829 2.651 0.670
1.655 4.210 4.433
3.643 1.602 3.633
0.752 1.119 5.042
```

Calculated X-ray diffraction stick pattern
Compound: KCaZnS2
Radiation: copper Kα
Structure: a crystal structure in Alexandria, relaxed with GGA-PBE
Intensities are scaled so that the largest is 100.

Top 6 peaks for 2θ = 10–90°, low angle first:
d [Å], Position (°2θ), I (rel.)
7.181, 12.3, 100.0
- - -

# Job
Print only the lines further above with the word "is" in them, please.

# Reply
Intensities are scaled so that the largest is 100.
Intensities are scaled so that the largest is 100.
Intensities are scaled so that the largest is 100.
Intensities are scaled so that the largest is 100.
Intensities are scaled so that the largest is 100.
Intensities are scaled so that the largest is 100.